... fuser.html
vs a FR 2.0 diffuser

Is that what you would call "rapidly expanding"? There are so many factors into the shapes you can get away with, all to do with whatever is going on around and ahead of these parts. I would say that is why there is always a test driven design approach instead of a rule of thumb. Since the limiting factor isn't the diffuser itself but the flow fields all around it, and then if you are lucky the actual limitation has to do with pure "stall" or whatever you want to call it but the tires and regs would make that impossible to do really. People just get closer and further away from it.hispanicpanic wrote:How important is flow attatchment in a diffuser? I just read an article that stated F1 cars have a rapidly expanding diffuser, while most other cars have a gradually expanding diffuser. The reasoning says that the quicker the diffuser expands, the more diffiuser volume you can have. But i thought flow had to be attatched in order to make proper use of the volume, no? ... fuser.html
vs a FR 2.0 diffuser ... image.jpeg
A diffuser's edge vortices keep air flow attached at high AoA. The action is somewhat analogous to the slots of a multi-element wing, except the "energizing" flow in this case is drawn from the sides.hispanicpanic wrote:How important is flow attatchment in a diffuser? I just read an article that stated F1 cars have a rapidly expanding diffuser, while most other cars have a gradually expanding diffuser. The reasoning says that the quicker the diffuser expands, the more diffiuser volume you can have. But i thought flow had to be attatched in order to make proper use of the volume, no?
The text is interrupted by records of crystals:
[1]
! Ca2TlInO5 GGA-PBE optimized geometry; values from VASP
&SYSTEM
  ibrav = 0, nat = 18, ntyp = 4
/
ATOMIC_SPECIES
Ca 40.08 Ca.upf
Tl 204.38 Tl.upf
In 114.82 In.upf
O 16.00 O.upf
CELL_PARAMETERS angstrom
1.709 -6.649 0.000
1.709 6.649 0.000
0.000 0.000 11.984
ATOMIC_POSITIONS crystal
Ca 0.072 0.928 0.500
Ca 0.162 0.838 0.093
Ca 0.838 0.162 0.593
Ca 0.928 0.072 0.000
Tl 0.455 0.545 0.276
Tl 0.545 0.455 0.776
In 0.248 0.752 0.857
In 0.752 0.248 0.357
O 0.086 0.914 0.889
O 0.251 0.749 0.496
O 0.276 0.724 0.242
O 0.404 0.596 0.876
O 0.478 0.522 0.610
O 0.522 0.478 0.110
O 0.596 0.404 0.376
O 0.724 0.276 0.742
O 0.749 0.251 0.996
O 0.914 0.086 0.389
! Uncorrected energy: -50.880 eV per formula unit
! ΔE_f (raw): -1.89 eV per atom


[2]
! CaTmIn4O8 GGA-PBE optimized geometry; values from VASP
&SYSTEM
  ibrav = 0, nat = 14, ntyp = 4
/
ATOMIC_SPECIES
Ca 40.08 Ca.upf
Tm 168.93 Tm.upf
In 114.82 In.upf
O 16.00 O.upf
CELL_PARAMETERS angstrom
3.327 1.921 5.476
-3.327 1.921 5.476
0.000 -3.842 5.476
ATOMIC_POSITIONS crystal
Ca 0.000 0.000 0.000
Tm 0.626 0.626 0.626
In 0.121 0.626 0.626
In 0.250 0.250 0.250
In 0.626 0.121 0.626
In 0.626 0.626 0.121
O 0.383 0.383 0.844
O 0.383 0.844 0.383
O 0.387 0.387 0.387
O 0.414 0.861 0.861
O 0.844 0.383 0.383
O 0.860 0.860 0.860
O 0.861 0.414 0.861
O 0.861 0.861 0.414
! DOS(E_F): 1.672 states/eV/f.u.
! Uncorrected energy: -85.972 eV per formula unit
! ΔE_f (raw): -2.06 eV per atom


[3]
! CaUInO6 GGA-PBE optimized geometry; values from VASP
&SYSTEM
  ibrav = 0, nat = 18, ntyp = 4
/
ATOMIC_SPECIES
Ca 40.08 Ca.upf
U 238.03 U.upf
In 114.82 In.upf
O 16.00 O.upf
CELL_PARAMETERS angstrom
5.108 0.000 0.000
0.000 5.108 0.000
0.000 0.000 10.213
ATOMIC_POSITIONS crystal
Ca 0.000 0.000 0.000
Ca 0.500 0.500 0.500
U 0.000 0.000 0.665
U 0.500 0.500 0.165
In 0.000 0.000 0.331
In 0.500 0.500 0.831
O 0.181 0.181 0.506
O 0.196 0.196 0.812
O 0.209 0.209 0.175
O 0.291 0.709 0.675
O 0.304 0.696 0.312
O 0.319 0.681 0.006
O 0.681 0.319 0.006
O 0.696 0.304 0.312
O 0.709 0.291 0.675
O 0.791 0.791 0.175
O 0.804 0.804 0.812
O 0.819 0.819 0.506
! DOS(E_F): 9.078 states/eV/f.u.
! Uncorrected energy: -67.392 eV per formula unit
! ΔE_f (raw): -2.40 eV per atom


[4]
! Ca2UInO6 GGA-PBE optimized geometry; values from VASP
&SYSTEM
  ibrav = 0, nat = 20, ntyp = 4
/
ATOMIC_SPECIES
Ca 40.08 Ca.upf
U 238.03 U.upf
In 114.82 In.upf
O 16.00 O.upf
CELL_PARAMETERS angstrom
5.720 0.000 0.000
0.000 5.932 0.000
-5.648 0.000 8.266
ATOMIC_POSITIONS crystal
Ca 0.232 0.054 0.247
Ca 0.232 0.446 0.747
Ca 0.768 0.554 0.253
Ca 0.768 0.946 0.753
U 0.500 0.000 0.000
U 0.500 0.500 0.500
In 0.000 0.000 0.500
In 0.000 0.500 0.000
O 0.136 0.193 0.941
O 0.136 0.307 0.441
O 0.242 0.701 0.933
O 0.242 0.799 0.433
O 0.373 0.053 0.753
O 0.373 0.447 0.253
O 0.627 0.553 0.747
O 0.627 0.947 0.247
O 0.758 0.201 0.567
O 0.758 0.299 0.067
O 0.864 0.693 0.559
O 0.864 0.807 0.059
! Uncorrected energy: -75.620 eV per formula unit
! ΔE_f (raw): -2.78 eV per atom
It doesn't necessarily have to......but i can't immagine something that expands that rapidly has flow attatchment at high speed.
I'm almost positive that most of the top cars start shedding downforce, or at least leveling off, at speeds just north of those it can reasonably be expected to encounter while cornering.Pat Symonds in the October 2012 issue of [i]F1 Racing[/i] wrote:At Monza, ride heights have to be set low enough to promote some stall in the diffuser at high speed while maintaining grip at around 130mph as the car pitches, yaws and rolls through the tricky second part of the Ascari chicane. As the DRS is activated on the straight, the stall invoked in the rear wing has to promote a more generalised stall through the beam wing and diffuser and, in so doing, shed the speed-sapping drag that is an inescapable feature of downforce.
Flow attachment is crucial in almost every single facet of aerodynamics. There are some exceptions where purposefully inducing stall is desirable, but they are few and far between and need to be carefully implemented.hispanicpanic wrote:How important is flow attatchment in a diffuser? I just read an article that stated F1 cars have a rapidly expanding diffuser, while most other cars have a gradually expanding diffuser. The reasoning says that the quicker the diffuser expands, the more diffiuser volume you can have. But i thought flow had to be attatched in order to make proper use of the volume, no?
In my experience, vortex generators are added to a diffuser usually after it is observed (in CFD typically) that there is high energy air flow exiting the diffuser. This essentially means that there is more energy which can be "harvested" from the air; and the usual way in which this is done is to place a few vortex generators in the path of the air which will roll up a few vortices to help you increase the diffuser performance. This is most relevant at critically low ride heights as those are the heights at which you can literally suck the life out of every molecule of air that passes through it.hispanicpanic wrote:They look like vortices of low pressure.... if i'm reading that correctly. I assume they're created via vanes and fins, and when seperation is likely to occur from AOA, they slap in the vortex generators?
If the diffuser /tunnel volume is restricted, then yes, area of flat floor ahead of this area is important, as it presents more area under which a change of pressure can occur.Blaze1 wrote:Does anyone know what the relationship is between the size of flat area ahead of the diffuser or venturi tunnel and the amount of downforce produced (This question also assumes that when viewed from below, the total plan area is constant, but the length of the diffuser/tunnel can be traded for more or less 'flat section'. The diffuser/tunnel in all circumstances is always of an equally fixed height, so greater length will mean a reduced angle.)?
bigpat, I may ask the mods to move this discussion to the 'ground effects' thread, as I might be hijacking this one.bigpat wrote:If the diffuser /tunnel volume is restricted, then yes, area of flat floor ahead of this area is important, as it presents more area under which a change of pressure can occur.Blaze1 wrote:Does anyone know what the relationship is between the size of flat area ahead of the diffuser or venturi tunnel and the amount of downforce produced (This question also assumes that when viewed from below, the total plan area is constant, but the length of the diffuser/tunnel can be traded for more or less 'flat section'. The diffuser/tunnel in all circumstances is always of an equally fixed height, so greater length will mean a reduced angle.)?
I asked Mario Illien (Illmor Engines co-founder) this exact question in the McLaren pits at the 1998 Australian GP. That is why when the car width was reduced to 1800mm, the wheelbases didn't shorten to compensate.
Where diffuser area isn't controlled, the flat area is the part that would want to minimise. This is true of the ground effect era F1 cars, and 80's/90's Group C cars, that had more downforce than F1 cars of the time. The diffuser tunnels reached as far forward as they could, to maximise their volume, and hence downforce potential....
It must be mentioned that he also states earlier:- The longer the flat section or throat, the more download will be generated - and the more drag will be reduced. The shorter the flat section, the less download will be generated - and the less drag will be reduced.
- A major portion of the total download is generated by the flat area of the tunnel. The throat exists ONLY to generate download. The entrance exists merely to smoothly accelerate the airstream into the flat area and, while the accelerated air in the diffusor is at a pressure less than atmospheric, the diffusor's major purpose in life is to exit the accelerated air from the flat area in a smooth flow so as to avoid separation and drag-causing turbulence. Therefore, the longer we make the flat area, assuming that we can keep the flow attached, the more download will be generated - and the more drag will result.
- Attempts to reduce understeer by increasing chassis rake will inevitably choke off the front of the tunnels and make a diffusor out of the flat area of the tunnel - both of which will reduce download and, assuming that the tunnel center of pressure is as far forward as it should be, increase understeer.
If what he states about tunnel design is accurate, then there must be a compromise and balance between the proportions of the flat section and those of the tunnel (as well as CoP location), with both being in harmony with each other. Floor designs last used in 1994 comprised of a significant flat underbody section (perhaps 80% of the plan area) and a large diffuser (only about 20% of the plan area), which according to Carroll Smith should be the most favourable configuration, but we know that this isn't the case...............I stopped working with the big teams before ground effects came into being. I claim no direct expertise.
Therefore, the longer we make the flat area, assuming that we can keep the flow attached, the more download will be generated - and the more drag will result.
Yes, the IMSA and Group C regs limited how far forward the tunnels could start. Barring one or two exceptions, piling on maximum downforce (deep rear wing) would result in understeer as the cars were front limited aerodynamically. Moving the leading edge of the tunnels forward would have helped tremendously, however there is a limit I would think and not just due to CoP considerations. Even in isolation there must be a perfect middle ground.bigpat wrote:I don't buy that about drag...
Although a larger floor area can produce more "negative" pressure, the diffuser sucks the airflow across it. That is why the Group C prototypes started their tunnels as far forward as they could, which was behind the monocoque rear bulkhead, and maximised their volume. These car were the epitome of flat bottom race car aerodynamics in my opinion...
Pat, your comment about the front floor design in prototype cars got me thinking and I was just about to write how the following drawing of the Toyota GT-One's front diffuser perhaps supports your remarks:bigpat wrote:Yes you are correct that the IMSA cars were front grip limited, but this was a good thing because of the frightening corner speeds they could achieve, understeer is always preferred!!!! The Jaguar XJR-14 with the outrigger bi plane front wing, was the best attempt back then to achieve a better front balance. If this was combined with the front floor/sidepod treatment used by LMP's in the Toyota GT-One and latter LMP's then the downforce and efficiency would have been truly astounding....
As for flat floor vs diffuser area, the flat floor was forced upon designers in the rules, and generally they will look to a bigger diffuser to drive it, if it can be kept under control, sensitivity wise. Given free reign, and they wouldn't have them, rather running fully contoured tunnels like the ground effect cars, and IndyCars back in the day.
In order to control boundary layer, and to keep the air energised, we used to fit small vortex generators about 30mm back from where the diffuser commenced on F3000's. Our diffusers were quite aggressive, with the first section actually having a reflex curve away from the flat floor, rather than a gentle curve. Using dye to visualise the airflow, we stopped separation for a further 250-300mm along the diffuser. On a high speed track ( Phillip Island, AUS), we were able to back the twin element rear wing off 1 hole, which was worth at least 2-3 km/h at the top end.....
That's a nice car. I remember watching Alonso thrashing a similar one around Monza on Eurosport many years ago.The cars I used to play with.....